Given.
'''
Diffraction record for Ac2Ge3Pt. The PXRD pattern is theoretical, not measured: it uses a structure optimized by DFT (PBE) and a wavelength of 1.5418 Å.
No peak broadening, texture or thermal motion is included.

Peak list (10 most intense, 5 to 70 degrees two-theta, sorted by position)
2θ/deg  Rel. int.
22.93  16
30.48  100
31.05  51
39.82  21
40.26  21
41.16  39
51.33  26
57.91  15
58.94  27
69.06  11

Crystal structure
```
data_Ac2Ge3Pt
_space_group_name_H-M_alt 'P m m 2'
_space_group_IT_number 25
_cell_length_a 4.480
_cell_length_b 4.528
_cell_length_c 7.520
_cell_angle_alpha 90.00
_cell_angle_beta 90.00
_cell_angle_gamma 90.00
loop_
_space_group_symop_operation_xyz
'x,y,z'
'-x,-y,z'
'-x,y,z'
'x,-y,z'
loop_
_atom_site_label
_atom_site_type_symbol
_atom_site_fract_x
_atom_site_fract_y
_atom_site_fract_z
_atom_site_occupancy
Ac1 Ac 0.000 0.000 0.000 1
Ac2 Ac 0.000 0.500 0.493 1
Ge1 Ge 0.500 0.000 0.657 1
Ge2 Ge 0.500 0.500 0.170 1
Ge3 Ge 0.500 0.500 0.828 1
Pt1 Pt 0.500 0.000 0.322 1
```
'''

Job.
What is needed: repeat all of the rows further above word for word.

Completed.
Diffraction record for Ac2Ge3Pt. The PXRD pattern is theoretical, not measured: it uses a structure optimized by DFT (PBE) and a wavelength of 1.5418 Å.
No peak broadening, texture or thermal motion is included.

Peak list (10 most intense, 5 to 70 degrees two-theta, sorted by position)
2θ/deg  Rel. int.
22.93  16
30.48  100
31.05  51
39.82  21
40.26  21
41.16  39
51.33  26
57.91  15
58.94  27
69.06  11

Crystal structure
```
data_Ac2Ge3Pt
_space_group_name_H-M_alt 'P m m 2'
_space_group_IT_number 25
_cell_length_a 4.480
_cell_length_b 4.528
_cell_length_c 7.520
_cell_angle_alpha 90.00
_cell_angle_beta 90.00
_cell_angle_gamma 90.00
loop_
_space_group_symop_operation_xyz
'x,y,z'
'-x,-y,z'
'-x,y,z'
'x,-y,z'
loop_
_atom_site_label
_atom_site_type_symbol
_atom_site_fract_x
_atom_site_fract_y
_atom_site_fract_z
_atom_site_occupancy
Ac1 Ac 0.000 0.000 0.000 1
Ac2 Ac 0.000 0.500 0.493 1
Ge1 Ge 0.500 0.000 0.657 1
Ge2 Ge 0.500 0.500 0.170 1
Ge3 Ge 0.500 0.500 0.828 1
Pt1 Pt 0.500 0.000 0.322 1
```